Given:
~~~
# 1
{
  "formula": "C54H35BBrLaN16O4",
  "method": "wB97M-V/def2-TZVPD",
  "species": ["La", "C", "C", "C", "C", "C", "N", "C", "N", "C", "C", "C", "C", "C", "C", "C", "C", "N", "C", "N", "C", "N", "C", "N", "C", "N", "C", "C", "C", "C", "C", "C", "C", "C", "C", "C", "C", "C", "N", "C", "C", "H", "H", "H", "H", "H", "H", "H", "H", "H", "H", "H", "H", "H", "H", "H", "H", "C", "C", "N", "N", "C", "B", "N", "C", "C", "C", "N", "N", "C", "C", "C", "N", "H", "H", "H", "H", "H", "H", "H", "H", "H", "H", "O", "N", "N", "O", "C", "C", "C", "C", "C", "C", "H", "H", "H", "H", "H", "Br", "C", "C", "C", "C", "C", "C", "C", "O", "O", "H", "H", "H", "H"],
  "positions_angstrom": [[0.322, -0.004, -0.309], [4.511, -3.686, 3.819], [5.476, -3.378, 2.871], [5.327, -2.292, 1.996], [4.112, -1.598, 2.003], [3.505, -0.557, 1.140], [2.214, -0.310, 1.551], [1.965, -1.092, 2.658], [0.813, -1.133, 3.324], [-0.161, -0.246, 3.232], [-1.075, 0.018, 4.345], [-1.203, -0.504, 5.583], [-2.138, 0.079, 6.473], [-2.900, 1.169, 6.094], [-2.716, 1.756, 4.800], [-1.767, 1.211, 3.991], [-1.303, 1.545, 2.629], [-1.683, 2.658, 2.029], [-1.072, 3.156, 0.934], [-0.070, 2.639, 0.197], [0.404, 3.642, -0.617], [1.541, 3.641, -1.298], [2.498, 2.767, -1.156], [2.459, 1.537, -0.522], [3.743, 1.022, -0.576], [4.152, -0.029, 0.103], [4.592, 1.912, -1.359], [5.920, 1.865, -1.709], [6.441, 2.844, -2.581], [5.621, 3.893, -3.000], [4.292, 4.062, -2.489], [3.820, 3.017, -1.701], [-0.444, 4.780, -0.566], [-0.462, 5.994, -1.183], [-1.477, 6.926, -0.826], [-2.398, 6.648, 0.163], [-2.394, 5.400, 0.819], [-1.406, 4.535, 0.478], [-0.389, 0.635, 2.207], [3.129, -1.902, 2.952], [3.336, -2.914, 3.889], [4.683, -4.573, 4.461], [6.358, -3.999, 2.767], [6.122, -1.986, 1.353], [-0.626, -1.394, 5.919], [-2.180, -0.295, 7.489], [-3.659, 1.590, 6.771], [-3.316, 2.624, 4.508], [6.530, 1.028, -1.341], [7.460, 2.804, -2.955], [5.978, 4.611, -3.708], [3.655, 4.890, -2.706], [0.335, 6.267, -1.904], [-1.546, 7.858, -1.339], [-3.165, 7.359, 0.427], [-3.079, 5.099, 1.586], [2.565, -3.152, 4.613], [-0.067, 2.745, -4.291], [-0.651, 2.156, -3.112], [-0.044, 1.017, -2.836], [0.873, 0.739, -3.866], [0.950, 1.831, -4.669], [1.082, -0.734, -4.232], [2.287, -1.261, -3.458], [3.294, -2.012, -4.028], [3.967, -2.741, -3.026], [3.238, -2.440, -1.823], [2.292, -1.475, -2.090], [-0.198, -1.489, -3.927], [-1.165, -1.876, -4.735], [-2.288, -2.235, -3.923], [-1.830, -2.056, -2.573], [-0.584, -1.597, -2.577], [-0.368, 3.658, -4.808], [-1.524, 2.428, -2.469], [1.655, 1.947, -5.479], [1.273, -0.937, -5.430], [3.438, -1.926, -5.103], [4.753, -3.439, -3.153], [3.343, -2.849, -0.835], [-1.088, -1.843, -5.809], [-3.258, -2.563, -4.275], [-2.293, -2.270, -1.629], [1.023, -2.421, 0.152], [0.428, -3.401, 0.733], [-0.831, -3.142, 1.123], [-1.272, -1.909, 0.918], [-1.547, -4.123, 1.678], [-0.905, -5.401, 1.777], [-1.610, -6.465, 2.288], [-2.974, -6.345, 2.607], [-3.635, -5.109, 2.330], [-2.917, -3.995, 1.894], [0.152, -5.481, 1.449], [-1.097, -7.436, 2.336], [-3.548, -7.187, 3.017], [-4.691, -5.047, 2.490], [-3.392, -3.049, 1.705], [-8.148, -2.028, -0.755], [-6.688, -0.865, -0.622], [-6.611, 0.389, -1.300], [-5.485, 1.189, -1.178], [-4.394, 0.632, -0.497], [-4.440, -0.602, 0.201], [-5.613, -1.293, 0.167], [-3.040, 1.261, -0.728], [-3.024, 2.423, -1.204], [-1.935, 0.562, -0.479], [-7.435, 0.720, -1.918], [-5.433, 2.140, -1.700], [-3.543, -0.985, 0.653], [-5.732, -2.246, 0.689]],
~~~

Brief:
What is needed: duplicate the part of the rows further up that starts with the line with "wB97M-V/def2-TZVPD" and stops after the one with "species".

Response:
  "method": "wB97M-V/def2-TZVPD",
  "species": ["La", "C", "C", "C", "C", "C", "N", "C", "N", "C", "C", "C", "C", "C", "C", "C", "C", "N", "C", "N", "C", "N", "C", "N", "C", "N", "C", "C", "C", "C", "C", "C", "C", "C", "C", "C", "C", "C", "N", "C", "C", "H", "H", "H", "H", "H", "H", "H", "H", "H", "H", "H", "H", "H", "H", "H", "H", "C", "C", "N", "N", "C", "B", "N", "C", "C", "C", "N", "N", "C", "C", "C", "N", "H", "H", "H", "H", "H", "H", "H", "H", "H", "H", "O", "N", "N", "O", "C", "C", "C", "C", "C", "C", "H", "H", "H", "H", "H", "Br", "C", "C", "C", "C", "C", "C", "C", "O", "O", "H", "H", "H", "H"],